Data.
VASP calculation (PBE-GGA) on crystalline La2SmY5Tm at its relaxed geometry.

a b c (Å): 10.065 10.065 10.065
angles (deg): 129.29 129.29 74.54
Element x y z (fractional)
La1 0.119 0.619 0.737
La2 0.381 0.119 0.500
La3 0.619 0.881 0.500
La4 0.881 0.381 0.263
Sm1 0.250 0.750 0.500
Sm2 0.750 0.250 0.500
Y1 0.000 0.000 0.000
Y2 0.072 0.144 0.500
Y3 0.144 0.644 0.072
Y4 0.356 0.428 0.500
Y5 0.428 0.928 0.072
Y6 0.500 0.500 0.000
Y7 0.572 0.072 0.928
Y8 0.644 0.572 0.500
Y9 0.856 0.356 0.928
Y10 0.928 0.856 0.500
Tm1 0.250 0.250 0.000
Tm2 0.750 0.750 0.000

Values from the calculation:
Space group: No. 140
Magnetic moment: 0.0 μB per formula unit
Total DFT energy (no corrections): -5.4628 eV/atom

~~~~~

1.
ZnTc2P2 | PBE-GGA | optimized geometry

a = 6.865 Å, b = 6.865 Å, c = 2.978 Å
α = 90.00°, β = 90.00°, γ = 90.00°
Fractional positions:
Zn  0.000  0.000  0.000
Zn  0.500  0.500  0.000
Tc  0.148  0.352  0.000
Tc  0.352  0.852  0.000
Tc  0.852  0.648  0.000
Tc  0.648  0.148  0.000
P  0.856  0.356  0.500
P  0.644  0.856  0.500
P  0.144  0.644  0.500
P  0.356  0.144  0.500

SG	P4/mbm, No. 127
spin magnetization	0.00	μB/cell
Fermi-level density of states	6.2	states/eV per cell
crystal system	tetragonal
energy of formation	-103	kJ/mol of formula units
total DFT energy (no corrections)	-6.778	eV/atom

2.
Li5InHg | PBE-GGA | optimized geometry

a = 4.916 Å, b = 4.916 Å, c = 5.959 Å
α = 90.00°, β = 90.00°, γ = 74.93°
Fractional positions:
Li  0.000  0.000  0.500
Li  0.000  0.500  0.756
Li  0.500  0.000  0.756
Li  0.500  0.000  0.244
Li  0.000  0.500  0.244
Hg  0.500  0.500  0.500
In  0.000  0.000  0.000

SG	Cmmm, No. 65
spin magnetization	0.00	μB/cell
Fermi-level density of states	2.2	states/eV per cell
crystal system	orthorhombic
energy of formation	-125	kJ/mol of formula units
total DFT energy (no corrections)	-1.987	eV/atom

3.
ZnCuNi2 | PBE-GGA | optimized geometry

a = 2.646 Å, b = 2.646 Å, c = 6.688 Å
α = 90.00°, β = 90.00°, γ = 89.98°
Fractional positions:
Cu  0.500  0.500  0.750
Zn  0.500  0.500  0.250
Ni  0.000  0.000  0.998
Ni  0.000  0.000  0.502

SG	P4/mmm, No. 123
spin magnetization	0.00	μB/cell
Fermi-level density of states	3.1	states/eV per cell
crystal system	tetragonal
energy of formation	-37	kJ/mol of formula units
total DFT energy (no corrections)	-4.329	eV/atom

4.
Rb2HfCrI6 | PBE-GGA | optimized geometry

a = 8.328 Å, b = 8.328 Å, c = 8.328 Å
α = 60.00°, β = 60.00°, γ = 90.00°
Each line ends with the local moment (μB).
Fractional positions:
Rb  0.250  0.750  0.500  0.00
Rb  0.750  0.250  0.500  0.00
Hf  0.000  0.000  0.000  0.78
I  0.247  0.247  0.000  0.00
I  0.753  0.247  0.000  0.00
I  0.753  0.753  0.000  0.00
I  0.247  0.247  0.505  0.00
I  0.247  0.753  0.000  0.00
I  0.753  0.753  0.495  0.00
Cr  0.500  0.500  0.000  4.19

SG	Fm-3m, No. 225
ΔE_f (raw)	-74.7	kJ/mol of atoms
spin magnetization	6.00	μB/cell
Fermi-level density of states	6.4	states/eV per cell
crystal system	cubic
total DFT energy (no corrections)	-3.855	eV/atom

~~~~~

Below is a geometry-optimized BeCdTe2 structure, with properties calculated at the PBE-GGA level.

## Properties
Formation energy from raw total energies in eV/f.u.: 0.701
Space group: Imm2, No. 44

a = 7.2471 Å, b = 7.2471 Å, c = 7.2471 Å
α = 150.64°, β = 147.57°, γ = 44.31°
Fractional positions:
Te 0.9651 0.9651 0.0000
Te 0.6821 0.1821 0.5000
Cd 0.2987 0.7987 0.5000
Be 0.5540 0.5540 0.0000

Below is a geometry-optimized BeCdTe structure, with properties calculated at the PBE-GGA level.

## Properties
Formation energy from raw total energies in eV/f.u.: 1.331
Space group: Imm2, No. 44

a = 6.6335 Å, b = 6.6335 Å, c = 6.6335 Å
α = 148.91°, β = 153.27°, γ = 41.45°
Fractional positions:
Cd 0.3667 0.3667 0.0000
Be 0.0129 0.0129 0.0000
Te 0.6204 0.6204 0.0000

Look up the formation energy from raw total energies of the second one.
1.331 eV/f.u.

~~~~~

[1]
Material: SmAlOs
Method: DFT, PBE
State: relaxed

Calculated values
Final energy ... -6.314 eV/atom
SG ... F-43m, No. 216
Request.
Quote the listing further above word for word.
Completed.
VASP calculation (PBE-GGA) on crystalline La2SmY5Tm at its relaxed geometry.

a b c (Å): 10.065 10.065 10.065
angles (deg): 129.29 129.29 74.54
Element x y z (fractional)
La1 0.119 0.619 0.737
La2 0.381 0.119 0.500
La3 0.619 0.881 0.500
La4 0.881 0.381 0.263
Sm1 0.250 0.750 0.500
Sm2 0.750 0.250 0.500
Y1 0.000 0.000 0.000
Y2 0.072 0.144 0.500
Y3 0.144 0.644 0.072
Y4 0.356 0.428 0.500
Y5 0.428 0.928 0.072
Y6 0.500 0.500 0.000
Y7 0.572 0.072 0.928
Y8 0.644 0.572 0.500
Y9 0.856 0.356 0.928
Y10 0.928 0.856 0.500
Tm1 0.250 0.250 0.000
Tm2 0.750 0.750 0.000

Values from the calculation:
Space group: No. 140
Magnetic moment: 0.0 μB per formula unit
Total DFT energy (no corrections): -5.4628 eV/atom

~~~~~

1.
ZnTc2P2 | PBE-GGA | optimized geometry

a = 6.865 Å, b = 6.865 Å, c = 2.978 Å
α = 90.00°, β = 90.00°, γ = 90.00°
Fractional positions:
Zn  0.000  0.000  0.000
Zn  0.500  0.500  0.000
Tc  0.148  0.352  0.000
Tc  0.352  0.852  0.000
Tc  0.852  0.648  0.000
Tc  0.648  0.148  0.000
P  0.856  0.356  0.500
P  0.644  0.856  0.500
P  0.144  0.644  0.500
P  0.356  0.144  0.500

SG	P4/mbm, No. 127
spin magnetization	0.00	μB/cell
Fermi-level density of states	6.2	states/eV per cell
crystal system	tetragonal
energy of formation	-103	kJ/mol of formula units
total DFT energy (no corrections)	-6.778	eV/atom

2.
Li5InHg | PBE-GGA | optimized geometry

a = 4.916 Å, b = 4.916 Å, c = 5.959 Å
α = 90.00°, β = 90.00°, γ = 74.93°
Fractional positions:
Li  0.000  0.000  0.500
Li  0.000  0.500  0.756
Li  0.500  0.000  0.756
Li  0.500  0.000  0.244
Li  0.000  0.500  0.244
Hg  0.500  0.500  0.500
In  0.000  0.000  0.000

SG	Cmmm, No. 65
spin magnetization	0.00	μB/cell
Fermi-level density of states	2.2	states/eV per cell
crystal system	orthorhombic
energy of formation	-125	kJ/mol of formula units
total DFT energy (no corrections)	-1.987	eV/atom

3.
ZnCuNi2 | PBE-GGA | optimized geometry

a = 2.646 Å, b = 2.646 Å, c = 6.688 Å
α = 90.00°, β = 90.00°, γ = 89.98°
Fractional positions:
Cu  0.500  0.500  0.750
Zn  0.500  0.500  0.250
Ni  0.000  0.000  0.998
Ni  0.000  0.000  0.502

SG	P4/mmm, No. 123
spin magnetization	0.00	μB/cell
Fermi-level density of states	3.1	states/eV per cell
crystal system	tetragonal
energy of formation	-37	kJ/mol of formula units
total DFT energy (no corrections)	-4.329	eV/atom

4.
Rb2HfCrI6 | PBE-GGA | optimized geometry

a = 8.328 Å, b = 8.328 Å, c = 8.328 Å
α = 60.00°, β = 60.00°, γ = 90.00°
Each line ends with the local moment (μB).
Fractional positions:
Rb  0.250  0.750  0.500  0.00
Rb  0.750  0.250  0.500  0.00
Hf  0.000  0.000  0.000  0.78
I  0.247  0.247  0.000  0.00
I  0.753  0.247  0.000  0.00
I  0.753  0.753  0.000  0.00
I  0.247  0.247  0.505  0.00
I  0.247  0.753  0.000  0.00
I  0.753  0.753  0.495  0.00
Cr  0.500  0.500  0.000  4.19

SG	Fm-3m, No. 225
ΔE_f (raw)	-74.7	kJ/mol of atoms
spin magnetization	6.00	μB/cell
Fermi-level density of states	6.4	states/eV per cell
crystal system	cubic
total DFT energy (no corrections)	-3.855	eV/atom

~~~~~

Below is a geometry-optimized BeCdTe2 structure, with properties calculated at the PBE-GGA level.

## Properties
Formation energy from raw total energies in eV/f.u.: 0.701
Space group: Imm2, No. 44

a = 7.2471 Å, b = 7.2471 Å, c = 7.2471 Å
α = 150.64°, β = 147.57°, γ = 44.31°
Fractional positions:
Te 0.9651 0.9651 0.0000
Te 0.6821 0.1821 0.5000
Cd 0.2987 0.7987 0.5000
Be 0.5540 0.5540 0.0000

Below is a geometry-optimized BeCdTe structure, with properties calculated at the PBE-GGA level.

## Properties
Formation energy from raw total energies in eV/f.u.: 1.331
Space group: Imm2, No. 44

a = 6.6335 Å, b = 6.6335 Å, c = 6.6335 Å
α = 148.91°, β = 153.27°, γ = 41.45°
Fractional positions:
Cd 0.3667 0.3667 0.0000
Be 0.0129 0.0129 0.0000
Te 0.6204 0.6204 0.0000

Look up the formation energy from raw total energies of the second one.
1.331 eV/f.u.

~~~~~

[1]
Material: SmAlOs
Method: DFT, PBE
State: relaxed

Calculated values
Final energy ... -6.314 eV/atom
SG ... F-43m, No. 216